Retype all of the data below verbatim.

~~~
Density functional theory data (PBE-GGA) for a relaxed structure of LiTlCo4.

```
LiTlCo4
1.0
0.3405 1.5515 4.6039
-2.2911 4.0724 1.3730
-3.8673 -0.2578 2.9489
Co Li Tl
4 1 1
Direct
0.3756 0.3756 0.3756
0.3756 0.3756 0.8733
0.3756 0.8733 0.3756
0.8733 0.3756 0.3756
0.7500 0.7500 0.7500
0.0000 0.0000 0.0000
```

Output
**SG**: F-43m (216)
~~~

Density functional theory data (PBE-GGA) for a relaxed structure of LiTlCo4.

```
LiTlCo4
1.0
0.3405 1.5515 4.6039
-2.2911 4.0724 1.3730
-3.8673 -0.2578 2.9489
Co Li Tl
4 1 1
Direct
0.3756 0.3756 0.3756
0.3756 0.3756 0.8733
0.3756 0.8733 0.3756
0.8733 0.3756 0.3756
0.7500 0.7500 0.7500
0.0000 0.0000 0.0000
```

Output
**SG**: F-43m (216)